_Given_
********
No. 1
A single C4H7NO2 molecule, computed with ωB97M-V with the def2-TZVPD basis set.

Atoms and positions in Å:
N (1.740, 0.675, 0.901)
C (0.710, -0.255, 0.888)
O (-0.541, 0.306, 0.721)
C (0.888, -1.569, 1.016)
C (-1.045, -0.032, -0.538)
C (-1.800, 1.002, -1.220)
O (-0.471, 0.646, -1.621)
H (1.552, 1.525, 0.392)
H (2.628, 0.262, 0.644)
H (0.077, -2.253, 1.231)
H (1.899, -1.943, 0.920)
H (-1.183, -1.099, -0.706)
H (-1.859, 1.951, -0.697)
H (-2.595, 0.783, -1.932)

The calculation puts the LUMO energy at 1.05 eV. Its SMILES is C=C(N)O[C@H]1CO1. For the energy above the lowest of the compared OMol25 structures with the same formula, charge and spin, the calculation gives 274.4 kJ/mol.



No. 2
A single C6H8S2 molecule at a distorted geometry, computed with ωB97M-V with the def2-TZVPD basis set.

Atoms and positions in Å:
C (0.380, -0.458, -0.930)
C (0.301, 1.047, -1.451)
C (0.008, 1.278, 0.185)
C (-0.671, -0.188, 0.147)
C (-0.383, -0.682, 1.457)
C (-0.168, -1.397, 2.409)
H (2.843, -1.390, -1.290)
H (0.043, -1.331, -1.560)
H (-0.593, 1.188, -2.178)
H (1.407, 1.486, -1.715)
H (-0.588, 2.138, 0.777)
H (0.916, 1.066, 0.855)
H (-3.035, 0.121, 0.482)
H (-0.009, -1.652, 3.360)
S (1.916, -0.890, -0.071)
S (-2.366, -0.336, -0.478)

The calculation puts the LUMO energy at 0.49 eV. Its SMILES is C#C[C@@]1(S)CC[C@H]1S. For the energy above the lowest of the compared OMol25 structures with the same formula, charge and spin, the calculation gives 525.9 kJ/mol.



No. 3
2 unconnected molecules or ions with the total composition CClN3O2 at a distorted geometry, computed with ωB97M-V with the def2-TZVPD basis set.

Atoms and positions in Å:
C (-0.333, -0.659, -0.994)
N (0.478, -1.047, -1.660)
N (-1.147, -0.180, -0.061)
N (0.487, 0.884, 0.918)
O (0.634, 1.848, 0.365)
O (0.657, 0.215, 1.830)
Cl (-1.307, -1.519, 1.041)

The calculation puts the LUMO energy (alpha / beta) at -2.23 / -1.58 eV. For the energy above the lowest of the compared OMol25 structures with the same formula, charge and spin, the calculation gives 137.4 kJ/mol.



Question: energy above the lowest of the compared OMol25 structures with the same formula, charge and spin of number 1 (C4H7NO2)?
Answer: 274.4 kJ/mol
********
_Job_
Next, type out the calculation results further up character by character.
_Worked solution_
No. 1
A single C4H7NO2 molecule, computed with ωB97M-V with the def2-TZVPD basis set.

Atoms and positions in Å:
N (1.740, 0.675, 0.901)
C (0.710, -0.255, 0.888)
O (-0.541, 0.306, 0.721)
C (0.888, -1.569, 1.016)
C (-1.045, -0.032, -0.538)
C (-1.800, 1.002, -1.220)
O (-0.471, 0.646, -1.621)
H (1.552, 1.525, 0.392)
H (2.628, 0.262, 0.644)
H (0.077, -2.253, 1.231)
H (1.899, -1.943, 0.920)
H (-1.183, -1.099, -0.706)
H (-1.859, 1.951, -0.697)
H (-2.595, 0.783, -1.932)

The calculation puts the LUMO energy at 1.05 eV. Its SMILES is C=C(N)O[C@H]1CO1. For the energy above the lowest of the compared OMol25 structures with the same formula, charge and spin, the calculation gives 274.4 kJ/mol.



No. 2
A single C6H8S2 molecule at a distorted geometry, computed with ωB97M-V with the def2-TZVPD basis set.

Atoms and positions in Å:
C (0.380, -0.458, -0.930)
C (0.301, 1.047, -1.451)
C (0.008, 1.278, 0.185)
C (-0.671, -0.188, 0.147)
C (-0.383, -0.682, 1.457)
C (-0.168, -1.397, 2.409)
H (2.843, -1.390, -1.290)
H (0.043, -1.331, -1.560)
H (-0.593, 1.188, -2.178)
H (1.407, 1.486, -1.715)
H (-0.588, 2.138, 0.777)
H (0.916, 1.066, 0.855)
H (-3.035, 0.121, 0.482)
H (-0.009, -1.652, 3.360)
S (1.916, -0.890, -0.071)
S (-2.366, -0.336, -0.478)

The calculation puts the LUMO energy at 0.49 eV. Its SMILES is C#C[C@@]1(S)CC[C@H]1S. For the energy above the lowest of the compared OMol25 structures with the same formula, charge and spin, the calculation gives 525.9 kJ/mol.



No. 3
2 unconnected molecules or ions with the total composition CClN3O2 at a distorted geometry, computed with ωB97M-V with the def2-TZVPD basis set.

Atoms and positions in Å:
C (-0.333, -0.659, -0.994)
N (0.478, -1.047, -1.660)
N (-1.147, -0.180, -0.061)
N (0.487, 0.884, 0.918)
O (0.634, 1.848, 0.365)
O (0.657, 0.215, 1.830)
Cl (-1.307, -1.519, 1.041)

The calculation puts the LUMO energy (alpha / beta) at -2.23 / -1.58 eV. For the energy above the lowest of the compared OMol25 structures with the same formula, charge and spin, the calculation gives 137.4 kJ/mol.



Question: energy above the lowest of the compared OMol25 structures with the same formula, charge and spin of number 1 (C4H7NO2)?
Answer: 274.4 kJ/mol